I need some help with my plan Veeky Forums. Which of the following will cause a paladin to fall?
>1. He is in a situation where he needs to choose one innocent man or another to live and he chooses one
>2. Same except he needs to choose between a good NPC or a PC (the PC is a rogue)
>3. He needs to choose between himself or the rogue and he chooses himself
>4. If he doesn't press a button then ten people will die. But if he does, it kills a person.
>5. The beer he was served was really a berserking potion and he killed a person
>6. He accidentally puts on the helm of opposite alignment
>7. He deliberately puts on an unknown magic helmet, knowing it's possible it's the helm of opposite alignment, but he thinks it's unlikely, and it turns out this was the helm of opposite alignment
>8. He deliberately puts on the helmet, knowing it's probably the helm of opposite alignment.
>9. He sleeps with an underage girl who told him she was 18
>10. She didn't consent to it either but was forced to tell him she does and he thought so
>11. His order has turned evil but he chooses to stay with his order out of loyalty
>12. His order has turned evil but he chooses to rebel against his order out of what he personally believes is good
>13. His god has become evil
>14. He kills an innocent man in cold blood assuming he's an evil sorcerer in disguise
>15. He kills an innocent man in cold blood thinking there's a 80% chance he's an evil sorcerer in disguise
>16. His party member who is a chaotic neutral rogue decided to pickpocket some money and he gave it to the poor, because he saw they were starving. He decides to not turn the rogue to the authorities even though he could
>17. Another PC confides in him. Before doing so, they have made him swear on his honor that he won't ever tell what they will tell him to the authorities. The PC confesses a horrible crime that must be brought to the attention of the authorities as it will stop an ongoing war. He decides to tell the authorities.
I need some help with my plan Veeky Forums. Which of the following will cause a paladin to fall?
>Look mom, I posted it! They're going to be so mad!
I know this is bait but fuck you.
>1. A difficult decision, but if it's not within his power to save both then he does not fall.
>2. Same again, but with added classism (lel rogues are criminals amirite)
>3. More ambiguous. Choosing yourself over another person in danger teeters on that edge for certain.
>4. Fuck your trolley dilemma.
>5. No falling; just make amends for the misdeed and bring whoever served him the berserking potion to justice.
>6. Loses powers, but they'll return once he gets the hat off.
>7. No sane adventurer would do this.
>8. No sane adventurer would do this and what need does a Paladin have to be Chaotic Evil?
>9. No falling, because Evil was not committed with intent.
>10. Bring the person who forced her to sleep with him to justice.
>11. Perhaps he believes he can bring the order to righteousness from within. Either way as long as he works to mitigate their evil, no falling.
>12. Doesn't fall.
>13. Doesn't fall unless he starts following the New Evil Edicts, at which point he loses his powers.
>14. This is literally what Detect Evil is for.
>15. This is literally what Detect Evil is for.
>16. More classism! But the Rogue performed a Good act, therefore no Falling.
>17. Balancing loyalty to comrades versus the suffering of many other people from war is a difficult decision, but the needs of the many outweigh the desire to escape consequence by his former acquaintance.
tl;dr you have a fundamental misconception of what it means to be a Paladin, and I hope your player leaves your game.
Rogues can't be lawful so there's that.
> 4. If he doesn't press a button then ten people will die. But if he does, it kills a person.
Every time DM tries to pull this on me, I just do this.
1. No
2. Depends on the rogue. There are plenty of good rogues. More than likely, no fall
3. Again, depends. Maybe fall, probably not.
4. Multi-Track Drifting
5. No
6. Yes until the hat is off, but fuck that had and anyone who puts it in their game
7. See 6
8. Why would they do this?
9. No
10. No
11. Maybe
12. No
13. Maybe
14. Maybe, but prob not
15. See 14
16. No
17. No.
Learn your paladins, OP. Paladins fall when they regularly practice non-LG actions for long enough that their alignments change, a single decision will almost never cause a paladin to fall unless it is obviously and truly despicable and the pally was fully aware of that.
-- Misplaced calculated molecules --
ORCA calculation (ωB97M-V with the def2-TZVPD basis set) on a 17-piece molecular cluster, C39H83N5O53S12 overall at a distorted geometry.

Summary:
LUMO energy = -0.30 eV
Kohn-Sham gap = 8.556 eV

```
! RIJCOSX wB97M-V def2-TZVPD def2/J DEFGRID3
* xyz 0 1
C 1.82120 1.05465 -4.75206
C 1.66436 1.01829 -6.29156
O 1.90250 2.34929 -6.74945
S 2.58999 3.30115 -5.54856
O 1.58363 4.13163 -4.87097
O 3.84053 3.88812 -5.91061
O 2.94789 1.89619 -4.63855
H 2.10872 0.04795 -4.44874
H 0.92615 1.41057 -4.24184
H 0.69259 0.59969 -6.55336
H 2.31678 0.35201 -6.85594
C 3.71982 4.65026 3.19062
C 3.42103 3.17387 2.77238
O 3.89551 2.38581 3.84956
S 5.14921 3.10986 4.78051
O 6.44247 2.63779 4.33105
O 4.83202 3.22306 6.20328
O 4.90702 4.61934 4.00805
H 2.87527 5.04790 3.75339
H 3.99232 5.31758 2.37299
H 4.00413 3.08610 1.85565
H 2.39930 2.93492 2.47732
C 3.10979 4.78124 -1.98102
C 2.96886 3.29953 -1.51304
O 1.93051 3.39190 -0.54649
S 0.81143 4.52862 -0.89578
O 0.18651 4.88651 0.38067
O -0.08463 4.06536 -1.91394
O 1.98361 5.53212 -1.50468
H 3.13218 5.00491 -3.04760
H 4.04574 5.19753 -1.60849
H 3.89546 2.82774 -1.18607
H 2.53922 2.55800 -2.18658
C -2.91444 -4.03276 6.48541
C -1.71590 -4.99043 6.62620
O -2.07302 -6.09287 5.86839
S -2.93341 -5.59696 4.52561
O -3.86588 -6.60816 4.03168
O -2.01382 -4.98889 3.51781
O -3.69295 -4.46529 5.41319
H -2.54596 -3.02053 6.31891
H -3.54392 -4.01782 7.37515
H -1.57015 -5.37753 7.63467
H -0.76985 -4.57662 6.27711
C -5.43982 -3.62974 -2.75691
C -4.66320 -2.78407 -1.71850
O -4.53227 -3.72773 -0.70003
S -4.37201 -5.24984 -1.25193
O -4.76341 -6.32811 -0.31595
O -3.10861 -5.40884 -1.97248
O -5.61215 -4.96693 -2.29464
H -4.85827 -3.65565 -3.67844
H -6.43555 -3.24279 -2.97342
H -5.23946 -1.88847 -1.48631
H -3.72267 -2.48982 -2.18427
C 4.93356 -5.61441 1.04597
C 5.04874 -4.26843 1.71121
O 6.41260 -3.95899 1.58430
S 7.11478 -4.41666 0.11475
O 8.41696 -4.95428 0.49199
O 7.02541 -3.39300 -0.92129
O 5.97163 -5.65094 -0.00163
H 3.96670 -5.74314 0.55943
H 5.09298 -6.45066 1.72669
H 4.67708 -4.27908 2.73584
H 4.49159 -3.55300 1.10637
C -5.93355 -1.18359 1.61549
C -6.73902 -2.47777 1.88561
O -7.08688 -2.40981 3.28353
S -6.26899 -1.23480 4.16215
O -5.00680 -1.80955 4.59361
O -7.18311 -0.56309 5.10082
O -6.10403 -0.38792 2.77820
H -6.17384 -0.60907 0.72090
H -4.86544 -1.39182 1.67782
H -6.20327 -3.41359 1.72652
H -7.61080 -2.47338 1.23132
C 5.82416 0.16837 -2.44664
C 6.72749 0.35213 -1.25537
O 5.92526 0.61728 -0.13868
S 4.44085 -0.00008 -0.38533
O 3.34171 0.74637 0.28980
O 4.42260 -1.46879 -0.24097
O 4.50434 0.43004 -1.91606
H 5.66140 -0.86413 -2.75576
H 5.97342 0.91169 -3.22978
H 7.44944 1.16251 -1.35634
H 7.22917 -0.57011 -0.96233
C -2.12391 5.44159 3.07261
C -3.16485 4.99782 4.03340
O -3.23945 3.57256 3.88442
S -2.93068 3.20655 2.27508
O -4.18773 2.95826 1.60330
O -1.89589 2.18733 2.21980
O -2.43617 4.74668 1.98995
H -1.09096 5.29680 3.38908
H -2.22690 6.50094 2.83744
H -4.09646 5.45496 3.69990
H -2.84804 5.14465 5.06597
C -1.58012 -1.65368 -4.07785
So? One does not necessarily deserve to live less than another just because they are not lawful. Nothing indicated that the "good NPC" was lawful either
for number 13. if he did follow the new evil edicts wouldn't he keep his powers or get new ones? and maybe become an anit-paladin?
i just joined this thread and asked this but i decided i should post paladin pics.
Paladins are bound to be lawful good (because 3.pf is terrible) so yeah he would fall and likely switch to Blackguard/AntiPally.
has anyone ever played a paladin that did fall? i played a few but only one that ever fell. the DM forced it so i was a little butthurt.
No because I play better games that 3rd edition D&D
the character that feel was pathfinder but id say i prefer 3.5.
1. If this is a purely hypothetical and there is absolutely, positively, 100% no way to save both, then no he does not
2. See number 1
3. Assuming this is a life-or-death choice, he falls, having allowed someone to die in order to save himself
4. See number 1
5. Assuming he was unaware of the potion's true nature, then no. Being outsmarted or making mistakes just means he's mortal. Being mortal is not grounds for falling
6. See number 5
7. See number 5
8. He'll probably fall
9. See number 5
10. See number 5. But at that point, it's time to break out the smiting mace and find whoever did this to her.
11. This depends on his actions within the order. Does he consent to evil, allow them to continue evil works, and generally do evil himself? He falls. But this is a good opportunity to try and push them back onto the right track and/or mitigate the evil they do.
12. He does not fall, and should be personally rewarded by his deity of choice for choosing what is Right over a band of mortals who fell to Evil
13. A paladin is more beholden to what is Right than his deity
(Molecular data that have nothing to do with the page)
=====
Entry 1:
A gas-phase ion, C4H4NO (charge +1). Source: the Open Molecules 2025 dataset; level of theory: wB97M-V/def2-TZVPD.

Summary:
⟨S²⟩ = 2.011
LUMO level (alpha / beta) = -4.70 / -10.11 eV
Multiplicity = 3
Charge = +1

Last column: Mulliken spin population.
Cartesian coordinates (Å):
C: -0.04082 -0.99825 -0.04484  0.19
C: -1.41855 -0.97717 0.00629  0.04
C: 0.32932 0.45383 0.00713  0.36
C: 1.56319 1.08206 -0.02249  0.64
N: -1.82727 0.32525 -0.07484  0.63
O: -0.87508 1.12796 0.00445  0.04
H: 0.52908 -1.74488 0.26521  0.01
H: -2.15960 -1.78074 0.03649  0.00
H: 1.53207 2.06933 0.02952  0.04
H: 2.36766 0.44262 -0.20693  0.04

=====

Entry 2:
2 unconnected molecules or ions with the total composition C4H4NO2. Source: the Open Molecules 2025 dataset; level of theory: wB97M-V/def2-TZVPD.

Summary:
LUMO level = 4.21 eV
Charge = -1

Last column: Löwdin charge in e.
Cartesian coordinates (Å):
C: 1.41677 0.92677 0.28780  -0.04
C: -0.04285 -1.11701 -0.48488  -0.33
C: 0.38115 0.13369 0.00609  -0.18
C: -1.31999 0.90581 0.90685  -0.62
N: -0.29231 -1.38559 -1.73560  0.00
O: -1.69717 1.92552 0.41222  0.03
O: -1.42923 0.24549 1.90595  0.00
H: 1.26986 1.91940 0.56512  0.02
H: 2.29992 0.57876 -0.22514  0.03
H: 0.14181 -1.80702 0.24953  0.08
H: -0.72797 -2.32582 -1.88794  0.01

=====

Entry 3:
2 unconnected molecules or ions with the total composition C4H4NO2P. Source: the Open Molecules 2025 dataset; level of theory: wB97M-V/def2-TZVPD.

Summary:
SMILES string = O=C[C@@H]1C=P1.N=C=O
LUMO level = -0.29 eV
Charge = 0

Last column: Löwdin charge in e.
Cartesian coordinates (Å):
O: 0.59706 -1.83659 -2.62072  0.02
C: 0.49708 -1.17613 -1.61458  -0.33
C: 0.98947 -1.71383 -0.28684  -0.43
C: 0.56882 -1.03978 0.94402  -0.46
P: 2.04346 -0.36811 0.72108  1.01
H: 0.17875 -0.00729 -1.60200  0.14
H: 1.53015 -2.65532 -0.24113  0.08
H: -0.24067 -1.13746 1.55681  0.01
N: -1.44761 3.43294 0.81409  0.15
C: -0.25986 3.06201 0.68673  -0.38
O: 0.75777 2.52857 0.56350  0.11
H: -1.55135 4.41981 0.90679  0.06

=====

Entry 4:
2 unconnected molecules or ions with the total composition C4H4NO4. Source: the Open Molecules 2025 dataset; level of theory: wB97M-V/def2-TZVPD.

Summary:
LUMO level = 3.55 eV
Charge = -1

Last column: Löwdin charge in e.
Cartesian coordinates (Å):
C: 0.71516 2.45117 1.45350  -0.12
C: -0.27765 1.70401 1.06640  0.00
C: 0.10652 -2.36830 -1.95942  -0.70
=====
14. See number 5.
15. He falls. If he onnly thinks there's an 80% chance the man is evil, then he knows there's a 20% chance that he is not and yet is willing to take that risk of murdering an innocent on an already doubtful assumption
16. He does not.
17. He absolutely does not. What is Right is greater than his word of honor, and allowing so many to suffer because of a mortals word of honor isn't Right
What's this "multi-track drifting" thing about?
Always a good joke whenever someone tries to bring up the Trolly "Problem", because the Trolly Problem is terrible
What the... that's PF iconic paladin so why does the antipaladin have a fucking Frostmourne?
Holy shit!!!!! You blew my mind!
This cancer is why we have to have these debates.
for number 3. it is up to the paladin to keep himself healthy for his body is the property of his god! you can not truly blame him for others dying.
number 8. is a silly question but I don't think he would fall unless that was his intent to fall. he wouldn't do that without some good reason,
number 15. he wouldn't fall he would just be a stupid paladin who didn't cast detect evil. and being almost certain of evil is good enough reason to kill a probable evil caster. apparently you can wear aasimar skin to prevent detect evil meaning that his 80% is viable.
Are paladins lawful good or stupid good in your setting?
Well, first of all, paladins don't fall for Acts of DM. Learn this. Internalize it. If you throw stupid shit at the paladin, the paladin *does not fall* for responding. If you plot twist "haha it was a trap", the paladin *does not fall* for having done the reasonable thing. That rules out the great majority of stupid falling questions.
As to your specific retardations, 6,7,8 are the only ones where the paladin clearly falls because he's evil now (but that's mostly the Helm being a stupid item), and in everything else I'm going to say "no" because you don't deserve the benefit of the doubt.
If the paladin slips on a banana peel does he fall, though?
3, 11, 14, 15
>13. His god has become evil
>5. The beer he was served was really a berserking potion and he killed a person
None of them.
Only number 8, but only if he was completely sure about it.
And this is either bait, or you're an idiot, OP.
False. Assuming 3.5e, they can be any alignment. I usually play Lawful rogues as varying shades of detectives/police man. LE? Corrupt Cop/Detective who's not afraid to break a whole lot of bones to find out what he wants. LN? Detective who's searching for the truth, and the truth alone. LG? Good Cop/Detective who's out there to help the little guy in life.